# Excerpt
____________
Arrangement 1

{
  "formula": "C4H5LaO2",
  "method": "wB97M-V/def2-TZVPD",
  "multiplicity": 2,
  "charge": 1,
  "gap_ev": [5.57, 6.60],
  "lumo_ev": [-5.576, -5.510],
  "elements": ["H", "O", "La", "O", "C", "C", "C", "C", "H", "H", "H", "H"],
  "positions_angstrom": [[4.600, 0.786, 0.895], [3.692, 0.482, 0.853], [1.879, 1.816, 0.385], [1.927, -2.500, -6.314], [2.230, -2.105, -5.217], [2.130, -2.976, -3.976], [3.069, -2.610, -2.918], [3.883, -2.319, -2.067], [2.573, -1.060, -5.053], [2.238, -4.031, -4.262], [1.101, -2.849, -3.593], [4.651, -2.047, -1.359]]
}

***

Arrangement 2

{
  "formula": "C4H5LaO2",
  "method": "wB97M-V/def2-TZVPD",
  "multiplicity": 2,
  "charge": 1,
  "gap_ev": [6.36, 7.76],
  "lumo_ev": [-5.155, -5.166],
  "elements": ["H", "O", "C", "C", "C", "C", "O", "La", "H", "H", "H", "H"],
  "positions_angstrom": [[-0.793, 4.161, 0.030], [-1.532, 0.317, 0.637], [-0.290, -1.460, -0.328], [1.051, -1.492, 0.031], [-1.412, -0.775, -0.268], [1.889, -0.384, -0.075], [1.494, 0.820, -0.324], [-0.206, 2.191, 0.062], [-2.453, 0.504, 0.857], [2.964, -0.527, 0.117], [-2.291, -0.908, -0.900], [1.581, -2.447, 0.162]]
}

***

Energies relative to the minimum, kJ/mol: arrangement 1 45.9; arrangement 2 0.0

* * * * *

DFT (ωB97M-V/def2-TZVPD) results for C21H18BrN9O2Pd as an isolated structure.

LUMO (spin up / spin down) = -15.128 / -15.129 eV
largest force on an atom = 0.008 Eh/bohr
ΔE to the lowest compared entry with this formula, charge and spin = 1.985 eV
gap between HOMO and LUMO (spin up / spin down) = 4.3 / 4.3 eV
electronic energy = -4154.5179 hartree

```
! RIJCOSX wB97M-V def2-TZVPD def2/J DEFGRID3
* xyz 4 1
Pd -0.91 1.03 -1.96
C -0.36 3.77 -0.42
O -0.18 2.35 -0.09
C 0.54 2.05 1.04
C 1.25 3.04 1.74
C 1.97 2.77 2.90
Br 2.87 4.13 3.79
C 2.00 1.47 3.37
C 1.31 0.44 2.68
C 0.54 0.75 1.51
O -0.15 -0.23 0.83
C 1.46 -0.86 3.19
N 2.18 -1.05 4.41
C 2.21 -2.32 4.61
C 2.82 -3.02 5.74
C 2.64 -4.36 5.78
C 1.95 -5.02 4.72
C 1.33 -4.39 3.61
C 1.49 -3.05 3.56
N 1.05 -2.04 2.71
H -0.80 4.28 0.43
H -1.04 3.79 -1.26
H 0.60 4.21 -0.70
H 1.23 4.07 1.39
H 2.55 1.22 4.26
H -1.08 -0.23 1.11
H 3.39 -2.47 6.47
H 3.04 -4.96 6.59
H 1.91 -6.11 4.75
H 0.76 -4.97 2.89
H 0.55 -2.16 1.84
N -5.66 -0.37 -0.74
N -4.72 0.24 -1.46
N -5.03 0.87 -2.57
C -3.85 1.28 -3.00
N -2.89 0.90 -2.15
N -3.47 0.22 -1.15
H -6.61 -0.17 -1.04
H -5.44 -0.55 0.23
H -3.73 1.89 -3.88
N 1.85 -0.18 -8.51
C 1.35 -0.02 -7.49
C 0.72 0.18 -6.22
C 1.50 0.33 -5.07
C 0.86 0.53 -3.87
N -0.48 0.59 -3.79
C -1.24 0.42 -4.88
C -0.67 0.22 -6.11
H 2.58 0.30 -5.11
H 1.42 0.65 -2.94
H -2.31 0.44 -4.75
H -1.30 0.09 -6.98
*
```

DFT (ωB97M-V/def2-TZVPD) results for C45H72AsIrO6SeSi3 as an isolated structure.

LUMO = 0.499 eV
largest force on an atom = 0.039 Eh/bohr
ΔE to the lowest compared entry with this formula, charge and spin = 0.241 eV
gap between HOMO and LUMO = 7.7 eV
electronic energy = -7819.5831 hartree

```
! RIJCOSX wB97M-V def2-TZVPD def2/J DEFGRID3
* xyz 0 1
Ir 1.01 -0.50 0.00
C -0.32 5.41 4.30
C -1.56 4.69 3.73
C -2.61 4.59 4.84
C -2.15 5.53 2.59
C -1.14 3.32 3.21
C -0.22 3.22 2.18
C 0.17 1.98 1.72
Se 1.33 1.88 0.19
C 0.03 2.36 -1.11
C -0.08 3.68 -1.52
C -1.05 4.03 -2.45
C -1.85 2.99 -2.93
C -1.74 1.66 -2.54
C -0.75 1.32 -1.58
O -0.58 0.09 -1.17
C -2.65 0.57 -3.13
C -3.67 1.15 -4.12
C -3.43 -0.13 -2.01
C -1.80 -0.45 -3.90
C -1.19 5.48 -2.88
C 0.12 5.97 -3.50
C -1.53 6.35 -1.66
C -2.31 5.67 -3.91
C -0.29 0.79 2.24
O 0.22 -0.37 1.83
C -1.31 0.86 3.21
C -1.67 2.12 3.68
C -2.07 -0.39 3.64
C -1.15 -1.42 4.31
C -3.20 -0.07 4.64
C -2.72 -1.02 2.40
H -0.60 6.39 4.70
H 0.43 5.56 3.53
H 0.13 4.82 5.10
H -2.87 5.60 5.18
H -2.23 4.04 5.70
H -3.52 4.11 4.48
H -2.44 6.52 2.95
H -3.03 5.04 2.17
H -1.43 5.67 1.78
H 0.19 4.11 1.71
H 0.58 4.42 -1.09
H -2.60 3.23 -3.66
H -4.34 1.87 -3.63
H -4.29 0.33 -4.50
H -3.19 1.62 -4.97
H -4.05 0.59 -1.47
H -2.76 -0.61 -1.30
H -4.09 -0.89 -2.44
H -1.28 0.03 -4.73
H -2.44 -1.24 -4.30
H -1.05 -0.91 -3.25
H 0.94 5.93 -2.78
H 0.02 7.01 -3.84
H 0.39 5.35 -4.36
____________

# Brief
Could you count the lines further above that contain the word "method" and give the number alone?

# Outcome
2